**Given**
## Mg5Tl2 (PBE-GGA)

Data for a relaxed structure of Mg5Tl2. Values from VASP.

Symmetry = No. 72
Calculated formation energy = -30 meV per atom

```
&SYSTEM
  ibrav = 0, nat = 14, ntyp = 2
/
ATOMIC_SPECIES
Mg 24.30 Mg.upf
Tl 204.38 Tl.upf
CELL_PARAMETERS angstrom
0.736 -8.520 1.515
-7.727 -3.965 0.061
4.618 5.036 -5.361
ATOMIC_POSITIONS angstrom
Mg -5.910 -8.898 -0.167
Mg -1.081 -6.373 -0.654
Mg -1.292 -1.075 -3.129
Mg -6.282 -3.465 -0.685
Mg 3.537 1.450 -3.617
Mg 3.909 -3.983 -3.099
Mg -2.635 -3.050 -0.906
Mg -4.273 -5.974 -0.536
Mg 1.900 -1.474 -3.247
Mg 0.262 -4.398 -2.878
Tl -2.932 -8.703 -0.040
Tl 0.394 -2.351 -0.707
Tl 0.559 1.255 -3.744
Tl -2.767 -5.098 -3.077
```

## Ba2CeZrO6 (PBE-GGA)

Data for a relaxed structure of Ba2CeZrO6. Values from VASP.

Symmetry = No. 123
Calculated formation energy = -3583 meV per atom

```
&SYSTEM
  ibrav = 0, nat = 10, ntyp = 4
/
ATOMIC_SPECIES
O 16.00 O.upf
Zr 91.22 Zr.upf
Ce 140.12 Ce.upf
Ba 137.33 Ba.upf
CELL_PARAMETERS angstrom
-0.270 -2.525 3.544
0.358 -5.038 -3.562
6.158 0.070 0.519
ATOMIC_POSITIONS angstrom
O 4.664 -1.246 -0.532
O 1.679 -1.280 -0.784
O 3.123 -3.746 0.250
O 1.852 -3.722 -2.511
O -0.135 -1.262 1.772
O 4.837 -3.688 -2.259
Zr 3.258 -2.484 -1.522
Ce 0.000 0.000 0.000
Ba 0.044 -3.781 -0.009
Ba 2.944 -1.227 2.031
```

## Ca2HfSnO6 (PBE-GGA)

Data for a relaxed structure of Ca2HfSnO6. Values from VASP.

Symmetry = No. 225
Calculated formation energy = -3098 meV per atom

```
&SYSTEM
  ibrav = 0, nat = 10, ntyp = 4
/
ATOMIC_SPECIES
O 16.00 O.upf
Hf 178.49 Hf.upf
Ca 40.08 Ca.upf
Sn 118.71 Sn.upf
CELL_PARAMETERS angstrom
0.000 -4.085 -4.085
4.085 0.000 -4.085
4.085 -4.085 0.000
ATOMIC_POSITIONS angstrom
O 4.085 -6.124 -4.085
O 4.085 -2.045 -4.085
O 4.085 -4.085 -2.045
O 6.124 -4.085 -4.085
O 4.085 -4.085 -6.124
O 2.045 -4.085 -4.085
Hf 0.000 0.000 0.000
Ca 2.042 -2.042 -2.042
Ca 6.127 -6.127 -6.127
Sn 4.085 -4.085 -4.085
```

## Ti2Al2O7 (PBE-GGA)

Data for a relaxed structure of Ti2Al2O7. Values from VASP.

Symmetry = No. 227
Calculated formation energy = -2945 meV per atom

```
&SYSTEM
  ibrav = 0, nat = 22, ntyp = 3
/
ATOMIC_SPECIES
O 16.00 O.upf
Ti 47.87 Ti.upf
Al 26.98 Al.upf
CELL_PARAMETERS angstrom
0.000 4.793 4.793
4.793 0.000 4.793
4.793 4.793 0.000
ATOMIC_POSITIONS angstrom
O 0.000 0.000 0.000
O 9.332 7.190 7.190
O 4.793 2.651 4.793
O 2.651 4.793 4.793
O 6.935 4.793 4.793
O 4.793 4.793 6.935
O 7.190 7.190 9.332
O 4.793 6.935 4.793
O 2.397 2.397 2.397
O 7.190 7.190 5.048
O 4.793 4.793 2.651
O 5.048 7.190 7.190
O 7.190 9.332 7.190
O 7.190 5.048 7.190
Ti 3.595 5.992 3.595
Ti 3.595 3.595 5.992
Ti 5.992 3.595 3.595
Ti 5.992 5.992 5.992
Al 3.595 1.198 3.595
Al 3.595 3.595 1.198
Al 1.198 1.198 1.198
Al 1.198 3.595 3.595
```

## CdGePH3O7 (PBE-GGA)

Data for a relaxed structure of CdGePH3O7. Values from VASP.

Symmetry = No. 1
Calculated formation energy = -1540 meV per atom

```
&SYSTEM
  ibrav = 0, nat = 52, ntyp = 5
/
ATOMIC_SPECIES
O 16.00 O.upf
H 1.01 H.upf
Ge 72.64 Ge.upf
P 30.97 P.upf
Cd 112.41 Cd.upf
CELL_PARAMETERS angstrom
-5.370 5.962 -0.267
-7.665 -2.531 3.345
2.197 2.937 8.502
ATOMIC_POSITIONS angstrom
O -4.507 5.218 8.344
O -4.261 0.768 4.467
O -1.340 3.472 3.127
O 0.104 3.267 6.584
O -3.547 0.663 7.289
O -6.443 -1.362 4.199
O -7.087 3.496 11.321
O -1.558 5.556 6.531
O -10.329 4.537 6.008
O -3.558 4.893 1.752
O -6.967 4.629 7.748
O -5.715 2.637 8.931
O -5.255 4.655 5.976
O -6.314 1.096 2.902
O -7.601 3.248 2.364
O -5.124 6.405 2.844
O -2.150 2.387 5.674
O -2.310 3.603 8.422
O -2.052 1.061 0.838
O -4.818 1.760 9.025
O -5.974 6.871 7.058
O -6.642 2.038 5.612
O -4.317 2.647 2.782
O -10.807 4.957 8.646
O -7.870 4.731 4.619
O -2.848 7.494 7.830
O -8.045 7.129 10.142
O -2.326 -0.378 1.145
H -5.678 1.879 5.662
H -3.198 4.083 8.354
H -7.805 3.756 3.191
H 0.009 1.214 3.698
H -7.192 4.212 5.116
H -7.215 2.351 2.623
H -10.629 4.727 7.712
H -3.638 7.799 7.332
H -5.370 -0.038 8.915
H -5.505 -1.615 2.667
H -2.528 6.676 7.316
H -4.301 4.721 5.751
Ge -8.957 5.761 5.610

**To do**
Please transcribe the whole of the rows further up word for word.

**Reply**
## Mg5Tl2 (PBE-GGA)

Data for a relaxed structure of Mg5Tl2. Values from VASP.

Symmetry = No. 72
Calculated formation energy = -30 meV per atom

```
&SYSTEM
  ibrav = 0, nat = 14, ntyp = 2
/
ATOMIC_SPECIES
Mg 24.30 Mg.upf
Tl 204.38 Tl.upf
CELL_PARAMETERS angstrom
0.736 -8.520 1.515
-7.727 -3.965 0.061
4.618 5.036 -5.361
ATOMIC_POSITIONS angstrom
Mg -5.910 -8.898 -0.167
Mg -1.081 -6.373 -0.654
Mg -1.292 -1.075 -3.129
Mg -6.282 -3.465 -0.685
Mg 3.537 1.450 -3.617
Mg 3.909 -3.983 -3.099
Mg -2.635 -3.050 -0.906
Mg -4.273 -5.974 -0.536
Mg 1.900 -1.474 -3.247
Mg 0.262 -4.398 -2.878
Tl -2.932 -8.703 -0.040
Tl 0.394 -2.351 -0.707
Tl 0.559 1.255 -3.744
Tl -2.767 -5.098 -3.077
```

## Ba2CeZrO6 (PBE-GGA)

Data for a relaxed structure of Ba2CeZrO6. Values from VASP.

Symmetry = No. 123
Calculated formation energy = -3583 meV per atom

```
&SYSTEM
  ibrav = 0, nat = 10, ntyp = 4
/
ATOMIC_SPECIES
O 16.00 O.upf
Zr 91.22 Zr.upf
Ce 140.12 Ce.upf
Ba 137.33 Ba.upf
CELL_PARAMETERS angstrom
-0.270 -2.525 3.544
0.358 -5.038 -3.562
6.158 0.070 0.519
ATOMIC_POSITIONS angstrom
O 4.664 -1.246 -0.532
O 1.679 -1.280 -0.784
O 3.123 -3.746 0.250
O 1.852 -3.722 -2.511
O -0.135 -1.262 1.772
O 4.837 -3.688 -2.259
Zr 3.258 -2.484 -1.522
Ce 0.000 0.000 0.000
Ba 0.044 -3.781 -0.009
Ba 2.944 -1.227 2.031
```

## Ca2HfSnO6 (PBE-GGA)

Data for a relaxed structure of Ca2HfSnO6. Values from VASP.

Symmetry = No. 225
Calculated formation energy = -3098 meV per atom

```
&SYSTEM
  ibrav = 0, nat = 10, ntyp = 4
/
ATOMIC_SPECIES
O 16.00 O.upf
Hf 178.49 Hf.upf
Ca 40.08 Ca.upf
Sn 118.71 Sn.upf
CELL_PARAMETERS angstrom
0.000 -4.085 -4.085
4.085 0.000 -4.085
4.085 -4.085 0.000
ATOMIC_POSITIONS angstrom
O 4.085 -6.124 -4.085
O 4.085 -2.045 -4.085
O 4.085 -4.085 -2.045
O 6.124 -4.085 -4.085
O 4.085 -4.085 -6.124
O 2.045 -4.085 -4.085
Hf 0.000 0.000 0.000
Ca 2.042 -2.042 -2.042
Ca 6.127 -6.127 -6.127
Sn 4.085 -4.085 -4.085
```

## Ti2Al2O7 (PBE-GGA)

Data for a relaxed structure of Ti2Al2O7. Values from VASP.

Symmetry = No. 227
Calculated formation energy = -2945 meV per atom

```
&SYSTEM
  ibrav = 0, nat = 22, ntyp = 3
/
ATOMIC_SPECIES
O 16.00 O.upf
Ti 47.87 Ti.upf
Al 26.98 Al.upf
CELL_PARAMETERS angstrom
0.000 4.793 4.793
4.793 0.000 4.793
4.793 4.793 0.000
ATOMIC_POSITIONS angstrom
O 0.000 0.000 0.000
O 9.332 7.190 7.190
O 4.793 2.651 4.793
O 2.651 4.793 4.793
O 6.935 4.793 4.793
O 4.793 4.793 6.935
O 7.190 7.190 9.332
O 4.793 6.935 4.793
O 2.397 2.397 2.397
O 7.190 7.190 5.048
O 4.793 4.793 2.651
O 5.048 7.190 7.190
O 7.190 9.332 7.190
O 7.190 5.048 7.190
Ti 3.595 5.992 3.595
Ti 3.595 3.595 5.992
Ti 5.992 3.595 3.595
Ti 5.992 5.992 5.992
Al 3.595 1.198 3.595
Al 3.595 3.595 1.198
Al 1.198 1.198 1.198
Al 1.198 3.595 3.595
```

## CdGePH3O7 (PBE-GGA)

Data for a relaxed structure of CdGePH3O7. Values from VASP.

Symmetry = No. 1
Calculated formation energy = -1540 meV per atom

```
&SYSTEM
  ibrav = 0, nat = 52, ntyp = 5
/
ATOMIC_SPECIES
O 16.00 O.upf
H 1.01 H.upf
Ge 72.64 Ge.upf
P 30.97 P.upf
Cd 112.41 Cd.upf
CELL_PARAMETERS angstrom
-5.370 5.962 -0.267
-7.665 -2.531 3.345
2.197 2.937 8.502
ATOMIC_POSITIONS angstrom
O -4.507 5.218 8.344
O -4.261 0.768 4.467
O -1.340 3.472 3.127
O 0.104 3.267 6.584
O -3.547 0.663 7.289
O -6.443 -1.362 4.199
O -7.087 3.496 11.321
O -1.558 5.556 6.531
O -10.329 4.537 6.008
O -3.558 4.893 1.752
O -6.967 4.629 7.748
O -5.715 2.637 8.931
O -5.255 4.655 5.976
O -6.314 1.096 2.902
O -7.601 3.248 2.364
O -5.124 6.405 2.844
O -2.150 2.387 5.674
O -2.310 3.603 8.422
O -2.052 1.061 0.838
O -4.818 1.760 9.025
O -5.974 6.871 7.058
O -6.642 2.038 5.612
O -4.317 2.647 2.782
O -10.807 4.957 8.646
O -7.870 4.731 4.619
O -2.848 7.494 7.830
O -8.045 7.129 10.142
O -2.326 -0.378 1.145
H -5.678 1.879 5.662
H -3.198 4.083 8.354
H -7.805 3.756 3.191
H 0.009 1.214 3.698
H -7.192 4.212 5.116
H -7.215 2.351 2.623
H -10.629 4.727 7.712
H -3.638 7.799 7.332
H -5.370 -0.038 8.915
H -5.505 -1.615 2.667
H -2.528 6.676 7.316
H -4.301 4.721 5.751
Ge -8.957 5.761 5.610